Kyle’s Blogging Tips (80% of which are too specific to be useful)

I am probably the worst kind of blogger (OK, maybe not the worst kind: see Exhibits A, B, and C). I know a lot about blogs (I used to evaluate them for Newstex) and about blogging best practices (having edited many words on the subject), but I don’t put that knowledge to very good use. For better and worse, I primarily write posts that explore rather vague and abstract notions of complementarity and wholeness, because these are ideas that seem central to my life/work/ministry/interests (it’s hard to resist the forward slash when your life/work/ministry/interests have something vaguely and abstractly to do with complementarity and wholeness).

Thus, CSC has a theme but no focused topic, except maybe the worst topic any writer can have: him- or herself (e.g., the experiment with video blogging to keep in touch during my first year of seminary, regarding which experiment: thanks for all the good feedback this year, friends). Prompted by a couple of recent incidents (a retweet by David Meerman Scott of my post about BEA and then a very minor burst of secondary exposure on Twitter because David also mentioned in another tweet that I was the one who filmed this video), I took a look at the CSC stats today to try to glean what (silly) tips I might have for bloggers (silly because, for the reasons outlined above [and more], this blog is no example to follow). Here goes:

  1. Name your blog after a snobby Latin expression. Almost all of my traffic from Google comes from people searching for the phrase “Contraria Sunt Complementa,” presumably trying to figure out what it means. Sorry, y’all, I’m afraid you’ll find only very opaque, inductive help here (I guess with the exception of my first post, which actually does do a decent definitional job and is–probably not coincidentally–my most popular post).
  2. Know some important bloggers. I know two, sorta: David Meerman Scott–whom I rather shamelessly mention here from time to time and who as I said has been very kind with comments, retweets, etc.–and Freakonomics co-author Steven J. Dubner. OK, I don’t actually know Steven J. Dubner, but I know (and currently live with) his pirate-obsessed research assistant, Ryan Hagen. And Ryan once saw my post about the Wikipedia article for “real life,” which in turn prompted a post about what fantasy is for. The h/t traffic from that post has made my fourth-largest all-time referrer, although I now believe that stat to be skewed because of a rather hideous record-keeping blunder on my part (see No. 4 below).
  3. Have lots of time off and/or periods of isolation and a desperate need for concrete goals during same. As the last two weeks have reminded me, I am–like Sports Night‘s Dana Whitaker–terrible at having “unstructured time on my hands.” Blogging has typical been for me a great way to manufacture some structure. I first got into blogging during a summer when I lived with my aunt and uncle in Cold Spring, NY, worked a pretty mindless job as a totally unqualified assistant to a medical equipment company field engineer, and had pretty much no friends and nothing to do. I started this blog during a Christmas break from grad school, by which time most of the high school friends I still kept in touch with had stopped coming home for more than a couple of days at the holidays, and anyway my parents now live pretty far from “home,” or at least where home used to be. Point being: I do my most productive blogging during long school breaks. I recommend getting some of those.
  4. Keep your counter’s URL information up to date. This one is only silly because it’s sad, though it’s also only a problem if you care about your visit stats. When I bought my own domain name about a year and a half ago, I went ahead and moved over to However, I failed to enter this piece of information into my profile over at Blog Counter. Thus, I have like sixteen months’ worth of statistics wherein the only recorded visits are via an outdated URL. I only discovered this blunder when I checked to see how many people had visited the site after David’s recent retweet of my post, only to discover that only one person had. David currently has 40,558 followers on Twitter, so that number seemed pretty unlikely. (If only, which I use for all my tweeted links, offered statistics the way does. Perhaps I should switch my allegiance.)
  5. Write about your adventures wrangling household bats. What can I say? My most popular post not about physics (or about BookExpo America, but see Nos. 2 and 4 above) is about my adventures trying to usher bats out of St. Francis House while working as the House Fellow there. I guess it was funny.

So there you have it, my probably-not-at-all-helpful blogging tips. By the way, in other news of blog traffic suddenly and rapidly expanded, the secret is now out (thanks to the enthusiastic and tech-savvy clergy and parishioners of New York’s St. Luke in the Fields [the former parish of my favorite VTS professor, incidentally]) that my smart, observant, and unusual-adventure-having girlfriend, Kristin Saylor, blogs about life as a port chaplain, St. Luke’s parishioner, Wisconsin transplant, and amateur urban anthropologist at Wisconsin meets NYC. Since the cat’s out of the bag, I can now offer a whole-hearted recommendation. It’s a highly entertaining read, and she’s got lots of interesting insight on the challenges of port ministry.

(P.S.: Apologies to any cat bloggers, cat lovers, or cat blog lovers reading this. You all can and should continue to blog or read about whatever you want.)

Writing Center Summer Institute

I got an email yesterday that the Writing Center Summer Institute, which is being held at UW-Madison this year, has a blog up and running. If you’re familiar with writing center scholarship, then you know those names over in the “contributors” column are some of the best and brightest in the field. I’ve been exceedingly lucky to have briefly interacted with a couple of them at conferences and colloquia, and I’m excited that I’ll get a chance to duck in and say hello in a couple weeks (my friend Erica and I are moderating a panel together during the Thursday session).

If you want to read what some really sharp, thoughtful people have to say about writing center work, check out this blog once the institute gets rolling, if not before.

New Insights Online

I linked to the March edition of our College of Engineering’s Teaching and Learning Insights newsletter last month, mostly because I’d written a piece for it. But it would be a shame if I didn’t pass the April link along as well. This issue rules.

In particular, check out the feature about my friend and sometime collaborator Laura Grossenbacher and her work on WAC (that’s Writing Across the Curriculum, not Western Athletic Conference) in engineering. This project’s got it all–interdisciplinarity, technical writing, authentic learning, and more. So I guess by “it all” I mean “stuff I’m interested in.” If you are too, check it out.

### Attached: calculated crystals
********
[1]
{"formula": "LaCd8", "functional": "meta-GGA SCAN", "state": "PBEsol geometry", "lattice_angstrom": [[4.599, 0.000, 0.000], [2.299, 6.641, 0.000], [2.299, 0.000, 6.641]], "species": ["Cd", "Cd", "Cd", "Cd", "Cd", "Cd", "Cd", "Cd", "La"], "fractional_positions": [[0.000, 0.657, 0.343], [0.000, 0.343, 0.657], [0.343, 0.657, 0.657], [0.323, 0.353, 0.000], [0.323, 0.000, 0.353], [0.657, 0.343, 0.343], [0.677, 0.000, 0.647], [0.677, 0.647, 0.000], [0.000, 0.000, 0.000]], "final_energy_ev_per_atom": -31.985}


[2]
{"formula": "La3Cd", "functional": "meta-GGA SCAN", "state": "PBEsol geometry", "lattice_angstrom": [[-1.540, 0.314, -3.230], [2.415, -3.717, -1.513], [-5.352, -4.346, 2.133]], "species": ["La", "La", "La", "Cd"], "fractional_positions": [[0.500, 0.500, 0.774], [0.000, 0.000, 0.500], [0.500, 0.500, 0.226], [0.000, 0.000, 0.000]], "final_energy_ev_per_atom": -40.114}


[3]
{"formula": "LaCd", "functional": "meta-GGA SCAN", "state": "PBEsol geometry", "lattice_angstrom": [[3.854, 0.000, 0.000], [0.000, 3.858, 0.000], [0.000, 0.000, 3.858]], "species": ["La", "Cd"], "fractional_positions": [[0.000, 0.500, 0.500], [0.500, 0.000, 0.000]], "final_energy_ev_per_atom": -37.193}


[4]
{"formula": "La2Cd", "functional": "meta-GGA SCAN", "state": "PBEsol geometry", "lattice_angstrom": [[-2.429, -3.816, 0.117], [6.743, -4.376, -2.716], [-1.290, 1.077, 8.318]], "species": ["Cd", "Cd", "Cd", "La", "La", "La", "La", "La", "La"], "fractional_positions": [[0.500, 0.000, 0.000], [0.000, 0.667, 0.333], [0.000, 0.333, 0.667], [0.000, 0.000, 0.274], [0.500, 0.000, 0.602], [0.000, 0.726, 0.726], [0.000, 0.274, 0.000], [0.500, 0.398, 0.398], [0.500, 0.602, 0.000]], "final_energy_ev_per_atom": -39.129}


[5]
{"formula": "La3Cd", "functional": "meta-GGA SCAN", "state": "PBEsol geometry", "lattice_angstrom": [[-2.219, -0.881, -2.724], [4.045, -3.284, -2.234], [-1.997, -4.572, 3.105]], "species": ["La", "La", "La", "Cd"], "fractional_positions": [[0.000, 0.500, 0.340], [0.500, 0.000, 0.462], [0.500, 0.500, 0.890], [0.000, 0.000, 0.975]], "final_energy_ev_per_atom": -40.109}


[6]
{"formula": "La3Cd", "functional": "meta-GGA SCAN", "state": "PBEsol geometry", "lattice_angstrom": [[-4.186, 1.751, -3.130], [-3.121, -6.369, 0.611], [-1.404, 5.121, 4.742]], "species": ["Cd", "Cd", "La", "La", "La", "La", "La", "La"], "fractional_positions": [[0.750, 0.667, 0.333], [0.250, 0.333, 0.667], [0.750, 0.178, 0.355], [0.250, 0.822, 0.645], [0.750, 0.178, 0.822], [0.250, 0.822, 0.178], [0.750, 0.645, 0.822], [0.250, 0.355, 0.178]], "final_energy_ev_per_atom": -40.137}


[7]
********

There’s also a write-up of our journal club‘s most recent article and a piece on using blogs for assessment. Geez, they’re productivity tools, assessment tools, brainstorming tools…makes me wonder why it took me so long to get back in the blogging game.